The government seems to be pretty happy taking $3 Trillion PER YEAR out of a $13 Trillion dollar PER YEAR Economy. Even if getting out of the sub-prime debacle actually cost a Trillion, how many folks would spend 1/13th of their income to make the best effort they could to keep making the other 12/13ths? It doesn't seem to be a hard decision at all when one looks at it that way.
I'm waiting to find an article or politician that explains it as clearly as Paulson did during the Senate Testimony. The GOVERNMENT strongly pushed Freddie and Fannie to take more sub-prime loans in order to keep housing starts moving and lower and lower income people getting homes. Then, after Enron, they passed Sarbannes Oxley that put LEGAL restrictions on the rating of the financial instruments that a business could keep on their balance sheet. Sounded good at the time.
[What comes next are calculated crystals, not part of the page]
# 1
# Zn4As3C3N3O13, relaxed, DFT GGA-PBE
data_Zn4As3C3N3O13
_chemical_formula_sum 'Zn8 As6 C6 N6 O26'
_cell_length_a 7.9577
_cell_length_b 15.7476
_cell_length_c 7.9603
_cell_angle_alpha 90.00
_cell_angle_beta 92.83
_cell_angle_gamma 90.00
_symmetry_space_group_name_H-M 'P 1'
_symmetry_Int_Tables_number 1
_symmetry_space_group_name_Hall 'P 1'
loop_
_atom_site_label
_atom_site_fract_x
_atom_site_fract_y
_atom_site_fract_z
_atom_site_occupancy
Zn1 0.0838 0.0000 0.3014 1
Zn2 0.0910 0.1317 0.6212 1
Zn3 0.1962 0.6582 0.6988 1
Zn4 0.2220 0.4923 0.4301 1
Zn5 0.7780 0.9923 0.5699 1
Zn6 0.8038 0.1582 0.3012 1
Zn7 0.9090 0.6317 0.3788 1
Zn8 0.9162 0.5000 0.6986 1
As1 0.0176 0.8234 0.5013 1
As2 0.0979 0.5546 0.0489 1
As3 0.4357 0.0842 0.4110 1
As4 0.5643 0.5842 0.5890 1
As5 0.9021 0.0546 0.9511 1
As6 0.9824 0.3234 0.4987 1
C1 0.2134 0.2715 0.0670 1
C2 0.3693 0.9418 0.8668 1
C3 0.4498 0.7823 0.2797 1
C4 0.5502 0.2823 0.7203 1
C5 0.6307 0.4418 0.1332 1
C6 0.7866 0.7715 0.9330 1
N1 0.0799 0.2946 0.0150 1
N2 0.4121 0.0111 0.9061 1
N3 0.4784 0.8071 0.4178 1
N4 0.5216 0.3071 0.5822 1
N5 0.5879 0.5111 0.0939 1
N6 0.9201 0.7946 0.9850 1
O1 0.0288 0.2497 0.6541 1
O2 0.0412 0.4759 0.9084 1
O3 0.0625 0.5709 0.5520 1
O4 0.0768 0.0856 0.8471 1
O5 0.1079 0.7736 0.6735 1
O6 0.1506 0.8999 0.4294 1
O7 0.1670 0.3722 0.4470 1
O8 0.1719 0.6396 0.9384 1
O9 0.2487 0.5220 0.1952 1
O10 0.2895 0.0611 0.2520 1
O11 0.3288 0.1171 0.5830 1
O12 0.4320 0.6644 0.6458 1
O13 0.4478 0.4956 0.5357 1
O14 0.5522 0.9956 0.4643 1
O15 0.5680 0.1644 0.3542 1
O16 0.6712 0.6171 0.4170 1
O17 0.7105 0.5611 0.7480 1
O18 0.7513 0.0220 0.8048 1
O19 0.8281 0.1396 0.0616 1
O20 0.8330 0.8722 0.5530 1
O21 0.8494 0.3999 0.5706 1
O22 0.8921 0.2736 0.3265 1
O23 0.9232 0.5856 0.1529 1
O24 0.9375 0.0709 0.4480 1
O25 0.9588 0.9759 0.0916 1
O26 0.9712 0.7497 0.3459 1
# Final energy (eV for the cell shown): -284.83
# Formation energy (eV/atom): -0.589

# 2
# Na2AsPCO7, relaxed, DFT GGA-PBE
data_Na2AsPCO7
_chemical_formula_sum 'Na4 As2 P2 C2 O14'
_cell_length_a 5.4103
_cell_length_b 6.6624
_cell_length_c 9.2439
_cell_angle_alpha 90.00
_cell_angle_beta 96.03
_cell_angle_gamma 90.00
_symmetry_space_group_name_H-M 'P 1'
_symmetry_Int_Tables_number 1
_symmetry_space_group_name_Hall 'P 1'
loop_
_atom_site_label
_atom_site_fract_x
_atom_site_fract_y
_atom_site_fract_z
_atom_site_occupancy
Na1 0.2493 0.0098 0.2291 1
Na2 0.2493 0.4902 0.2291 1
Na3 0.7507 0.5098 0.7709 1
Na4 0.7507 0.9902 0.7709 1
As1 0.1737 0.2500 0.6363 1
As2 0.8263 0.7500 0.3637 1
P1 0.2597 0.7500 0.6012 1
P2 0.7403 0.2500 0.3988 1
C1 0.2932 0.2500 0.9170 1
C2 0.7068 0.7500 0.0830 1
O1 0.0736 0.2500 0.8251 1
O2 0.1366 0.5641 0.6661 1
O3 0.1366 0.9359 0.6661 1
O4 0.1767 0.7500 0.4271 1
O5 0.2753 0.2500 0.0508 1
O6 0.4593 0.2500 0.3780 1
O7 0.4900 0.2500 0.8508 1
O8 0.5100 0.7500 0.1492 1
O9 0.5407 0.7500 0.6220 1
O10 0.7247 0.7500 0.9492 1
O11 0.8233 0.2500 0.5729 1
O12 0.8634 0.0641 0.3339 1
O13 0.8634 0.4359 0.3339 1
O14 0.9264 0.7500 0.1749 1
When Bear went down, Moody's and Std and Poors started looking at the "mortgage backed securities" and discovered that sub-prime was everywhere. They downgraded the rating. Once they did that, the Financial Officers and the CEOs HAD to sell the mortgage backed securities--they were ILLEGAL to keep on their balance sheet. Selling them was and is stupid, but they had no choice--the law says sell or GO TO JAIL!! Wham, credit instruments that were 97% secure and had maybe dropped to 95% secure at the worst now had to be DUMPED, and none of the businesses that would normally buy them could make any use of them. Even though on the long term their value is almost certainly secure, they are no longer LIQUID--nobody will buy them TODAY. Meltdown caused by an unintended side-effect of well intentioned government regulation.
BUT, SOX was "Bi-Partisan" BOTH guys like Dodd and McCain voted for it--because they thought it was good. I'm sure there is plenty of blame to go around, Wall Street is certainly not blameless, but Washington is FAR from blameless, and it isn't for the reasons that they seem willing to admit. So they are playing "chicken" with the $13 Trillion US Economy that could take the whole world into a depression. Why?
Well, hey, BOs poll numbers bumped up on the crisis, so crisis must be good! I'm convinced that the MSM and the Democrats could care less if they drive the country to 70% of the population starving and the other 30% killed by terrorists. As long as they can blame Bush and get power it will be more that fine with them!
Unless our elected idiots choose to continue to playing politics rather than fixing an unforseen problem that they had a very large role in creating, there is no way that anything over 10-15% of those mortgages are going to default. The $700-$1Trillion "exposure" is very likely to turn them a PROFIT, just like the Chrysler bailout (that was MUCH less of a good idea) and actually the S&L bailout even eventually turned a profit.
I think the people that make the $13 Trillion a year are perfectly willing to be demonized if that is the price to keep the economy running. Better to have a bunch of prima donas that have never produced anything but hot air in their life going "shame, shame, I told you so" when a big hunk of the problem is actually of their creation than to actually let the credit markets dry up and destroy the business "goose" that keeps turning out that $13 Trillion every year. Do Dodd and BO understand that? I really wonder to sit and listen to them, but I believe they must. They simply don't care about ANYTHING but raw political power, no matter what the level of damage caused!